Tensions in the South China Sea Series: A Five-Part Series (Part 4)
The South China Sea has emerged as an area where political, economic and strategic rivalry are played out, affecting regional stability and security. The so-called South China Sea dispute centres on the overlapping claims involving China, Taiwan, Philippines, Malaysia, Vietnam and Brunei. At the ‘epicentre’ of this dispute is China, which has made claims over a large part of the South China Sea as indicated in its 9-dash line map, and has been contested by other claimants as it encroached their maritime claims and interests. China’s assertiveness and military activities in the disputed area of the South China Sea further aggravated the situation and has led to a rethinking about Beijing’s rhetoric of its peaceful rise. Its actions are also viewed with great concern by other extra-regional powers as they too have a big stake in the region making the eventuality of major power rivalry inevitable. For Malaysia, this is more than just worrisome. In the past, it has shown a more conciliatory attitude towards Chinese assertiveness, in contrast to the policies exhibited by other claimants such as Vietnam and the Philippines. But can this continue in view of more emboldened Chinese actions in the South China Sea that threatened Malaysia’s national security? What are the considerations that it must weigh to preserve its security and territorial integrity in the face of threats arising out of the dispute and China’s unpredictable behaviour in the South China Sea?
The South China Dispute: Part of China’s Awakening?
The South China Sea lies at the nexus of Southeast Asia and Northeast Asia, at the meeting of point of global sea routes offering the shortest route between the Indian and the Pacific Oceans. It is important not only to regional countries for SLOC and commerce, but also for major powers such as US and Japan. The US, despite not being a claimant state is very much concerned with the dispute and has taken a strong stand against what is seen as China’s assertiveness in projecting its claims. The rise of China economically, accompanied by the inevitable political impact on the region, is both welcomed and a cause of concern. It has been touted for a long time that when China wakes up, the world should pay attention to it. China has, in fact, awaken and making its way confidently across the globe, worrying many powers that have the same ambition and capabilities. But is the South China Sea dispute part of China’s awakening and reinforcing the notion that as a power rises, it will inevitably expand?
For Southeast Asian nations, the South China Sea is important to their economic well-being and security. Considered the “Mediterranean Sea” of Southeast Asia, coastal nations grew and developed economically, culturally and politically around it. China’s massive claims on the sea therefore has huge implications for these countries. Vietnam, for example, is a claimant state whose only strategic gateway to the oceans is the South China Sea, thus leaving it at economic and strategic disadvantage if its maritime access to the East Sea (as the Vietnamese call it) is hindered or left to the mercy of another power. The Philippines is another country that has vigorously opposed China’s aggressive behaviour in the South China Sea. Although the Philippines has access to the Pacific Ocean besides the South China Sea, it is geographically too exposed and thus vulnerable to China’s activities in the area. The US and other countries that are frequent users of the South China Sea have highlighted the importance of freedom of navigation as guaranteed under UNCLOS. China, however, disagreed with the interpretation that this would allow states to enjoy unqualified freedom of navigation and overflight within an EEZ, hence reacted forcefully to USNS Impeccable activities within its EEZ. Thus, the implications of dispute in the South China Sea are not confined to claimant states, but having wider impact.
But the most important question in the minds of many in Southeast Asia is: what has emboldened China in pursuing its claim with such assertiveness? So far, ASEAN has not produced a united common position vis-à-vis Chinese claims and position on the dispute. But its members have agreed that it must be resolved in a peaceful manner. ASEAN states involved in the dispute have, however, indicated their disinterest in bilateral negotiations with China.
Malaysia’s Attitude: Softer, but Sometimes Stern
One of the criticisms levied against Malaysia in its attitude on the South China Sea dispute is that it has been “quiet”, “too soft” or even “too accommodating” vis-a –vis China on the issue. What can one infer from Malaysia’s so –called “low profile” attitude and response to the South China Sea dispute? The South China Sea is important for Malaysia from economic, social, strategic and security aspects. It may not be in a “choke” situation as Vietnam in the matter, because Malaysia has access to the Indian Ocean via its control of the Strait of Malacca. But socio-culturally and strategically the South China Sea matters to Malaysia. It separates the two landmasses of the Peninsula Malaysia and the territories of Sabah and Sarawak, with strategic implications for defence and security of these three core areas.
The South China Sea is not only economically important for Malaysia as a maritime nation, but it is also as important from the perspective of national security. The three core areas that must be defended and secured are the Malay Peninsula, Sabah and Sarawak. Sabah in view of its geographical location is especially vulnerable to many threats from the seas around it. To strengthen the defence and security of the two territories, Malaysia made concerted efforts towards modernizing its navy and strengthening its defence forces in the area. The submarine base in Kota Kinabalu, Sabah is a symbol of Malaysia’s will to protect its maritime territorial integrity. Still, in the event of aggression from another country with stronger capabilities, there is no guarantee that it can be met effectively. An increase in tensions in South China Sea will put additional burden on Malaysia’s effort to beef up its defence and security in Sabah and Sarawak which are exposed and vulnerable to the fall-out from the dispute. As Malaysia’s national security is not just protection from external threats, such additional pressure will necessarily divert attention towards efforts at consolidating and maintaining internal peace and security.
Malaysia is a maritime nation; both the Strait of Malacca and the South China Sea are important for its international trade. For hundreds of years, the coastal states of Malaysia facing the South China were involved in maritime trade, maritime social and cultural life. They interacted with other nations in the region via the South China Sea. All these are deeply embedded in the consciousness of Malaysians, they have expressed it through poetry, songs and folk stories. With the recent acknowledgment of Malaysia as a maritime nation, more efforts are being done to collate and expose their connections to the South China Sea. The need for a peaceful environment in the South China Sea is vital for Malaysia’s national security and economy as a maritime nation, a necessity that is now being undermined by China’s growing boldness in its actions to secure its claims in the area.
What comes next are crystal structures, not part of the piece.
Record 1
This entry pairs a crystal structure of UGeIr with its calculated X-ray diffraction stick pattern. Radiation: λ = 1.5418 Å (Cu Kα). Structure: a GGA-PBE-relaxed structure.

Peak list (10 most intense, 2θ from 10° to 80°, in order of rising 2θ)
index	d/Å	I (rel.)
1 2 2	2.647	26
0 4 2	2.528	43
1 4 1	2.518	100
1 0 3	2.204	55
2 0 0	2.184	35
0 8 0	1.684	13
2 4 2	1.653	24
1 6 4	1.382	14
2 8 0	1.334	16
3 4 1	1.317	14

Cell: 4.368 13.467 7.657 Å, 90.00 90.00 90.00°
Space group Pmmn (No. 59, origin choice 2)
Inequivalent atoms, fractional coordinates:
1 U 0.250 0.003 0.213 (multiplicity 4)
2 U 0.250 0.250 0.293 (multiplicity 2)
3 U 0.250 0.750 0.295 (multiplicity 2)
4 Ge 0.250 0.103 0.588 (multiplicity 4)
5 Ge 0.250 0.651 0.915 (multiplicity 4)
6 Ir 0.250 0.134 0.918 (multiplicity 4)
7 Ir 0.250 0.605 0.586 (multiplicity 4)

Record 2
This entry pairs a crystal structure of TbEuAu with its calculated X-ray diffraction stick pattern. Radiation: λ = 1.5418 Å (Cu Kα). Structure: a GGA-PBE-relaxed structure.

Peak list (10 most intense, 2θ from 10° to 80°, in order of rising 2θ)
index	d/Å	I (rel.)
0 0 2	6.492	23
1 0 3	2.814	100
1 1 0	2.619	53
1 1 2	2.429	9
1 0 5	2.126	22
2 0 0	1.852	19
1 1 6	1.668	9
2 1 3	1.547	33
2 1 5	1.397	12
1 1 8	1.380	9

Cell: 3.704 3.704 12.984 Å, 90.00 90.00 90.00°
Space group I4mm (No. 107)
Inequivalent atoms, fractional coordinates:
1 Tb 0.000 0.000 0.000 (multiplicity 2)
2 Eu 0.000 0.000 0.728 (multiplicity 2)
3 Au 0.000 0.000 0.386 (multiplicity 2)

Record 3
This entry pairs a crystal structure of Y2TlAg with its calculated X-ray diffraction stick pattern. Radiation: λ = 1.5418 Å (Cu Kα). Structure: a GGA-PBE-relaxed structure.

Peak list (10 most intense, 2θ from 10° to 80°, in order of rising 2θ)
index	d/Å	I (rel.)
1 1 1	4.307	7
2 0 0	3.730	8
2 2 0	2.637	100
3 1 1	2.249	4
2 2 2	2.153	3
4 0 0	1.865	18
3 3 1	1.711	2
4 2 0	1.668	4
4 2 2	1.523	36
4 4 0	1.319	11

Cell: 7.460 7.460 7.460 Å, 90.00 90.00 90.00°
Space group Fm-3m (No. 225)
Inequivalent atoms, fractional coordinates:
1 Y 0.250 0.250 0.250 (multiplicity 8)
2 Tl 0.000 0.000 0.000 (multiplicity 4)
3 Ag 0.000 0.000 0.500 (multiplicity 4)

Record 4
This entry pairs a crystal structure of Sc6Co7 with its calculated X-ray diffraction stick pattern. Radiation: λ = 1.5418 Å (Cu Kα). Structure: a GGA-PBE-relaxed structure.

Peak list (10 most intense, 2θ from 10° to 80°, in order of rising 2θ)
index	d/Å	I (rel.)
1 1 0	2.486	33
1 0 10	2.328	50
0 0 12	2.305	34
1 1 6	2.189	100
0 1 11	2.172	57
0 2 1	2.147	57
0 2 4	2.056	39
2 0 5	2.007	90
0 2 7	1.891	29
2 2 0	1.243	36

Cell: 4.9729 4.9729 27.6657 Å, 90.00 90.00 120.00°
Space group R-3m (No. 166, hexagonal axes)
Inequivalent atoms, fractional coordinates:
1 Sc 0.0000 0.0000 0.0536 (multiplicity 6)
2 Sc 0.0000 0.0000 0.1542 (multiplicity 6)
3 Sc 0.0000 0.0000 0.3342 (multiplicity 6)
4 Co 0.0000 0.0000 0.5000 (multiplicity 3)
5 Co 0.0032 0.5016 0.9058 (multiplicity 18)

Record 5
The crystal structures stop here.
Delicate Balance of Interests
Malaysia’s low –profile attitude vis-a- vis China in the dispute is a delicate balance to keep its good relations with China, at the same time to avoid being seen as too compliant with China on the issue. Could it be a sort of face-saving device, a well-known but unspoken trait of Malay traditional diplomacy and behaviour? This, however, should not be seen as a being weak, but rather an act of being reasonable in the face of a perilous uncertainty. China, despite its “peaceful rise” claim, is still an unpredictable big power in the region, and smaller states remain cautious of an outcome of displeasing China. Unlike Vietnam, Malaysia does not have the geopolitical leverage that can be factored into consideration of China’s core interest which will deter China from taking actions that would disadvantage Malaysia. The Philippines may have the advantage of a certainty of reliance on American support to ward off Chinese threats. The same cannot be said of Malaysia. One of the aims of its non-aligned foreign policy has always been to keep the region free from external powers’ intervention. Malaysia remains solidary with other ASEAN claimant states in opposing Chinese assertive policy in the dispute, but at the same time it does not want to stir up the dragon. However, it is equally important that China does not misconstrue this as being weak or subservient to a big power. It is obvious that ASEAN claimants in the dispute want to avoid dealing with China on a bilateral basis, and Malaysia remains in solidarity with them in this matter. ASEAN has also made efforts to provide frameworks in which the parties involved in the dispute may resolve it peacefully.
The recent intrusion of Chinese aircrafts into Malaysian areas of South China Sea has again awaken a latent mistrust of China. Malaysia has demanded explanations from China to which China responded as a ‘regular exercise’, a response many in Malaysia thought implausible. Could this intrusion be an indication of boldness on the part of China as a result of Malaysia’s reticence in showing a more vocal opposition to Chinese activities in the South China Sea? Chinese behaviour seems to corroborate the view that it will bulldoze its way to achieve its ambition in the South China Sea regardless of what other countries have to say. Naturally, the intrusion reinforced public mistrust of China’s aims in the region, but whether or not that will change Malaysia’s policy towards China in the dispute is another matter. Malaysia has to stand on its own two feet and has to consider which is the less costly measure to deal with China’s assertiveness in the area. Responding ‘softly’ may be a gentlemanly behaviour, but such a gentleman position, would require a certain amount of confidence in oneself. Is a small, peace-loving country with constraints in its capabilities, in the face of a big power’s blatant disregard for good neighbourhood policy condemned to accept such behaviour? Malaysia, as stated by its foreign minister, is not subservient to a bigger power even if its policy in the South China Sea dispute is “mild” in comparison to the more vocal response of other ASEAN claimants.
For a small country with limited capabilities, it has little option but to navigate cautiously in these turbulent waters. But what does that entail? It cannot stray too far from the paths taken by other ASEAN claimants and must be seen in solidarity with them. Much as it would have desired to be more forceful in response to China’s assertive attitude, Malaysia could not do so in view of the uncertainty of the outcome. It is hoped that China sees Malaysia’s diplomacy in the South China Sea, specifically with regards to the overlapping claims as an opportunity towards creating a more conducive environment for peaceful negotiation and solution to the problem, therefore acts accordingly. It may also be surmised that when Vietnam and Philippines voiced out their displeasure at China’s “might is right” attitude, they are also voicing Malaysia’s concern at such attitude.
In conclusion, the South China Sea remains a core issue in Malaysia’s national security and therefore needs careful handling. Its ‘low-profile’ response to the South China Sea dispute is not an indication of ‘reverence’ to big brother behaviour, but rather a way to manage its vulnerability as a small country vis-à-vis a big, assertive and unpredictable power with a global ambition. At the same time, it does not preclude Malaysia’s ability and willingness to remind the big dragon that in international diplomacy, superiority of firepower alone does not guarantee respect and legitimacy.
Part 1: South China Sea: The Need for Strong and Persistent Policies
Part 2: Indonesia and Maritime Rules-Based Order in the South China Sea
Part 3: Changing Realities for Malaysia in the South China Sea Dispute
Part 5: A Matter of Firm Resolve: The Philippine’s Strategic Posture in the South China Sea